Netflix looks to future but still going strong with DVD rentals

FREMONT, Calif. -- It's 7 a.m. here at the Netflix nflx shipping facility that serves half of California.

Most of the nearly 200 associates are nearing the end of their 4½-hour shift. Since 3:30 a.m., they have ripped open about 175,000 red envelopes, inspecting each returned DVD to make sure the correct disc was returned, then cleaning and boxing them up to go to the automated sorter.

Within a flash, each Netflix subscriber will get an e-mail announcing a disc's return, along with a notification later that day of what's coming next.

For 10-year-old Netflix, what's next is Internet delivery. Netflix envelopes and radio ads tout "free" online movie viewing for subscribers. Netflix CEO and co-founder Reed Hastings doesn't think his 58 distribution centers are in immediate danger of becoming obsolete, but he knows that day will come.

He believes DVD rentals have four to nine years to keep growing, despite inroads in Internet delivery of movies to set-top TV boxes and other video-on-demand options.

[Calculated crystals that have nothing to do with the article]
____________
Structure and calculated powder diffractogram of Cs2K6NaPd (DFT lattice parameters and positions (GGA-PBE); Cu Kα).

Largest 10 diffraction maxima, most intense first, 10° ≤ 2θ ≤ 80°:
(hkl)	d (Å)	Rel. int.
2 2 0	4.962	100
0 4 0	3.514	58
2 2 2	4.052	57
4 2 2	2.865	47
4 0 4	2.483	42
1 1 1	8.103	29
4 0 0	3.499	29
4 4 4	2.026	22
4 6 2	1.877	21
4 4 0	2.478	21

Crystal structure
```
data_Cs2K6NaPd
_cell_length_a 13.995
_cell_length_b 14.041
_cell_length_c 14.070
_cell_angle_alpha 90.00
_cell_angle_beta 90.00
_cell_angle_gamma 90.00
_space_group_name_H-M_alt 'F m m m'
_space_group_IT_number 69
_space_group_name_Hall '-F 2 2'
loop_
_atom_site_label
_atom_site_type_symbol
_atom_site_fract_x
_atom_site_fract_y
_atom_site_fract_z
Cs1 Cs 0.250 0.250 0.250
K1 K 0.000 0.000 0.228
K2 K 0.000 0.228 0.000
K3 K 0.228 0.000 0.000
Na1 Na 0.000 0.000 0.500
Pd1 Pd 0.000 0.000 0.000
```


Structure and calculated powder diffractogram of Cs2K4RbNa2 (DFT lattice parameters and positions (GGA-PBE); Cu Kα).

Largest 10 diffraction maxima, most intense first, 10° ≤ 2θ ≤ 80°:
(hkl)	d (Å)	Rel. int.
-1 1 2	4.025	100
1 0 2	3.968	96
0 2 0	3.904	59
1 1 -2	3.593	48
1 1 -1	5.029	30
2 -1 0	2.946	24
0 1 3	3.638	24
-1 3 2	2.377	22
1 0 1	5.692	21
3 3 2	2.302	20

Crystal structure
```
data_Cs2K4RbNa2
_cell_length_a 8.004
_cell_length_b 9.187
_cell_length_c 10.941
_cell_angle_alpha 66.41
_cell_angle_beta 86.22
_cell_angle_gamma 68.37
_space_group_name_H-M_alt 'P -1'
_space_group_IT_number 2
_space_group_name_Hall '-P 1'
loop_
_atom_site_label
_atom_site_type_symbol
_atom_site_fract_x
_atom_site_fract_y
_atom_site_fract_z
Cs1 Cs 0.245 0.017 0.337
K1 K 0.258 0.984 0.891
K2 K 0.409 0.508 0.781
Rb1 Rb 0.000 0.500 0.500
Na1 Na 0.088 0.582 0.086
```


Structure and calculated powder diffractogram of Cs4KRb2Na (DFT lattice parameters and positions (GGA-PBE); Cu Kα).

Largest 10 diffraction maxima, most intense first, 10° ≤ 2θ ≤ 80°:
(hkl)	d (Å)	Rel. int.
2 0 -2	4.192	100
1 1 -3	3.589	64
0 2 0	2.582	28
0 0 4	4.012	26
2 0 -6	2.496	19
0 2 4	2.172	19
0 0 2	8.023	17
1 1 -1	4.396	15
1 3 1	1.674	15
4 0 -4	2.096	14

Crystal structure
```
data_Cs4KRb2Na
_cell_length_a 8.950
_cell_length_b 5.160
_cell_length_c 16.310
_cell_angle_alpha 90.00
_cell_angle_beta 100.31
_cell_angle_gamma 90.00
_space_group_name_H-M_alt 'P 1 2/m 1'
_space_group_IT_number 10
_space_group_name_Hall '-P 2y'
loop_
_atom_site_label
_atom_site_type_symbol
_atom_site_fract_x
_atom_site_fract_y
_atom_site_fract_z
Cs1 Cs 0.233 0.000 0.224
Cs2 Cs 0.249 0.500 0.762
K1 K 0.500 0.000 0.000
Rb1 Rb 0.000 0.000 0.500
Rb2 Rb 0.500 0.500 0.500
Na1 Na 0.000 0.500 0.000
```


Structure and calculated powder diffractogram of CsK2Rb2Na (DFT lattice parameters and positions (GGA-PBE); Cu Kα).

Largest 10 diffraction maxima, most intense first, 10° ≤ 2θ ≤ 80°:
(hkl)	d (Å)	Rel. int.
2 2 0	2.975	100
1 1 2	4.857	89
2 0 0	4.214	88
0 0 4	4.192	39
2 2 4	2.429	36
3 1 2	2.540	35
4 2 0	1.884	34
1 0 1	7.530	30
1 0 3	4.658	30
4 2 4	1.719	24

Crystal structure
____________
[End of the calculated crystals]

"Over the next five years, there will still be a lot of consumers who don't have broadband and prefer the simplicity of discs," he says. "A lot of people say DVDs have seen its best days, but we see it as a growth product."

Indeed, in the midst of a recession, Netflix has reported record subscriber growth and revenue at a time when DVD sales fell 8% in 2008 and are projected to fall 9% this year.

Netflix says it has 10.3 million subscribers, up from just over 8 million a year ago. It reported revenue of $394 million in the first quarter, up from $326 million in the year-ago quarter and $360 million in the fourth quarter.

Citigroup analyst Mark Mahaney agrees that for all the hoopla over new media formats and streaming video websites such as YouTube and Hulu, there's still enormous demand for DVDs. "People love the functionality of discs," he says.

Additionally, he says, there's no "great" mass market streaming option yet.

Amazon and Apple are Netflix's two main competitors in streaming videos to TVs from the Web, via set-top boxes. Netflix also works with set-top boxes, plus Blu-ray players from LG and Samsung and the Microsoft Xbox 360 video game system.

Amazon and Apple charge more for movie rentals, at about $3.99 apiece, while Netflix's on-demand films are free to subscribers.

Apple has new flicks such as Gran Torino and He's Just Not That Into You, and Amazon touts Slumdog Millionaire and Marley & Me. Netflix — which has more than 100,000 titles available via mail, including current hits — promotes mostly older fare for instant streams, such as Hancock and Braveheart.

Hastings won't say exactly how popular the online streaming is but says it's seen "phenomenal" usage. "We've got millions of subscribers using it and are very happy, but the DVD is growing faster." He admits the titles aren't up to par with the competition but says for now he "can't afford" to pay the higher prices the studios request for newer movies.

Hastings believes offering both mail rentals and free streaming gives subscribers "the best of both worlds — that's our differentiator. You can get streaming and the backup of 100,000 titles on DVD."

Netflix's main competitor, Blockbuster, offers a rental-by-mail option, although it's far behind Netflix. Meanwhile, up-and-comer Redbox is aggressively putting its vending machine rental program into supermarkets and drugstores. Redbox has only a handful of titles in machines, compared with Netflix's vast selection. "Redbox is growing substantially, but it's not much of a threat to Netflix," Mahaney says.

An edge in customer service

Hastings' attention to customer service is acclaimed, with quick DVD turnaround and instant e-mails announcing returns and upcoming titles.

He'll soon be paying $1 million to programmers looking to collect the "Netflix Prize," a contest aimed at improving the effect customer ratings will have on other subscribers.

Meanwhile, Netflix's eventual move to digital distribution will mean dramatic cost savings — no more physical discs, envelopes, postage or large employee base to staff his distribution centers.

Now, the company has distribution centers in every state except the Dakotas. Subscribers know that if they return a disc on Monday, they can expect to have something new by Wednesday. The company recently added a sixth day of operations, with Saturday processing.

At the centers, after the envelopes are opened and processed, the discs are scanned by a huge automated machine, to determine whether they are going back out that day or returned to the library. If they are going out, they're rescanned and labeled — at which point the e-mail goes out to the subscriber announcing which new disc can be expected the next day.

"Ten years ago, when we started, it was a bunch of us sitting around card tables, stuffing and licking envelopes," Hastings says. "It was pretty chaotic. Then we added bar coding and got better with our automation."

_These crystal structures were left in the entry by mistake_
- - -
1.
LaLu2Co: computed powder diffractogram (Cu Ka), based on a crystal structure in Alexandria, relaxed with GGA-PBE.
Neutral-atom scattering factors, no anomalous dispersion.

Principal peaks in the range 2θ from 5° to 70°, low angle first:
8.6°, intensity 62.3
26.1°, intensity 52.3
28.9°, intensity 81.9
37.3°, intensity 100.0
41.4°, intensity 40.5
50.9°, intensity 46.1

Structure:
Cell lengths 3.5875, 3.5875, 30.6717 Å; angles 90.00, 90.00, 120.00 degrees
Space group R-3m (No. 166, hexagonal axes)
Asymmetric unit:
La: 0.0000 0.0000 0.0000
Lu: 0.0000 0.0000 0.1163
Co: 0.0000 0.0000 0.5000

2.
La3Mg3Co2: computed powder diffractogram (Cu Ka), based on a crystal structure in Alexandria, relaxed with GGA-PBE.
Neutral-atom scattering factors, no anomalous dispersion.

Principal peaks in the range 2θ from 5° to 70°, low angle first:
19.8°, intensity 100.0
29.1°, intensity 76.1
32.1°, intensity 91.5
32.8°, intensity 89.0
38.6°, intensity 62.8
40.5°, intensity 58.3

Structure:
Cell lengths 17.0550, 4.6642, 5.0671 Å; angles 90.00, 99.15, 90.00 degrees
Space group C2/m (No. 12)
Asymmetric unit:
La: 0.0000 0.0000 0.0000
La: 0.1720 0.0000 0.5915
Mg: 0.0000 0.5000 0.5000
Mg: 0.1392 0.5000 0.0620
Co: 0.2162 0.0000 0.0749

3.
LaMgCo: computed powder diffractogram (Cu Ka), based on a crystal structure in Alexandria, relaxed with GGA-PBE.
Neutral-atom scattering factors, no anomalous dispersion.

Principal peaks in the range 2θ from 5° to 70°, low angle first:
16.5°, intensity 34.6
24.8°, intensity 100.0
32.4°, intensity 24.5
37.4°, intensity 38.9
38.3°, intensity 39.8
40.1°, intensity 44.2

Structure:
Cell lengths 5.1838, 4.8099, 5.4861 Å; angles 90.00, 101.26, 90.00 degrees
Space group P2_1/m (No. 11)
Asymmetric unit:
La: 0.1018 0.2500 0.3006
Mg: 0.4824 0.2500 0.8463
Co: 0.3835 0.7500 0.6111

4.
La5Mg2Co2: computed powder diffractogram (Cu Ka), based on a crystal structure in Alexandria, relaxed with GGA-PBE.
Neutral-atom scattering factors, no anomalous dispersion.

Principal peaks in the range 2θ from 5° to 70°, low angle first:
10.6°, intensity 51.3
23.2°, intensity 24.4
31.3°, intensity 100.0
31.7°, intensity 60.9
32.6°, intensity 57.7
39.3°, intensity 24.0

Structure:
Cell lengths 7.6800, 7.8755, 16.6339 Å; angles 90.00, 90.00, 90.00 degrees
Space group Fmmm (No. 69)
- - -

As orderly as the operation is, Hastings isn't satisfied. He's still investing heavily in it.

"The facility is horribly inefficient compared to how we want it to be and where it will be in three years," he says.

Exactly what he has in store is "top secret," he says, but does admit that the processing of the discs could be improved for more consistency. "I'd like to see us move from 99.5% correct to 99.9% correct. That may sound easy, but it isn't."